Archaeologists Were Looking for a Medieval Hermitage. They Found a ‘Monumental’ Prehistoric Henge
The site in eastern England may have served as a sacred space for groups across thousands of years

Around 700 C.E., St. Guthlac, the son of a nobleman, gave up a life of riches to live in solitude as a Christian monk. After spending two years at a monastery, he left to live as a hermit in Crowland, now a town in Lincolnshire, England. Others had previously tried and failed to settle in the area, which was said to be haunted by evil spirits and demons.
Guthlac established a hermitage in Crowland, where he lived until his death in 714. His legacy endured, and his followers later founded Crowland Abbey in his memory. While details about Guthlac’s life were documented in the Vita Sancti Guthlaci (Latin for Life of St. Guthlac), the exact location of the hermitage has been a mystery.
“For years, archaeologists have tried to find its location,” according to a statement from England’s Newcastle University. “While Anchor Church Field [located near the abbey] was widely held to be the most likely site, the lack of excavation and the increasing impact of agricultural activity in the area [had] prevented a comprehensive understanding of the area.”
Hoping to locate the hermitage, archaeologists finally excavated the field in 2021 and 2022. According to a recently published study in the Journal of Field Archaeology, they discovered a site that was thousands of years older: the remains of a “monumental” prehistoric henge. Measuring nearly 250 feet across, it was constructed during the Neolithic or Early Bronze Age (between 3000 and 1600 B.C.E.).
+++
# 1
Below is crystalline Tl2GaHgTe4 at its relaxed geometry, with properties calculated at the PBE level.

Energy relative to the elements, uncorrected   -0.21 eV/atom
Fermi-level density of states   0.850 states/eV/atom
Crystal system   tetragonal

Structure (CIF):
```
data_Tl2GaHgTe4
_symmetry_space_group_name_H-M 'I -4 2 m'
_symmetry_Int_Tables_number 121
_symmetry_space_group_name_Hall 'I -4 2'
_cell_length_a 8.355
_cell_length_b 8.355
_cell_length_c 7.322
_cell_angle_alpha 90.00
_cell_angle_beta 90.00
_cell_angle_gamma 90.00
loop_
_atom_site_label
_atom_site_fract_x
_atom_site_fract_y
_atom_site_fract_z
Tl1 0.000 0.500 0.000
Ga1 0.000 0.000 0.000
Hg1 0.000 0.000 0.500
Te1 0.178 0.178 0.227
```

---

# 2
Below is crystalline KRuS at its relaxed geometry, with properties calculated at the PBE level.

Energy relative to the elements, uncorrected   -0.48 eV/atom
Fermi-level density of states   0.487 states/eV/atom
Crystal system   tetragonal

Structure (CIF):
```
data_KRuS
_symmetry_space_group_name_H-M 'P 4/n m m'
_symmetry_Int_Tables_number 129
_cell_length_a 3.975
_cell_length_b 3.975
_cell_length_c 10.119
_cell_angle_alpha 90.00
_cell_angle_beta 90.00
_cell_angle_gamma 90.00
loop_
_symmetry_equiv_pos_as_xyz
'x,y,z'
'-x,-y,-z'
'-y+1/2,x,z'
'y+1/2,-x,-z'
'-x+1/2,-y+1/2,z'
'x+1/2,y+1/2,-z'
'y,-x+1/2,z'
'-y,x+1/2,-z'
'x+1/2,-y,-z'
'-x+1/2,y,z'
'-y,-x,-z'
'y,x,z'
'-x,y+1/2,-z'
'x,-y+1/2,z'
'y+1/2,x+1/2,-z'
'-y+1/2,-x+1/2,z'
loop_
_atom_site_label
_atom_site_fract_x
_atom_site_fract_y
_atom_site_fract_z
K1 0.250 0.250 0.201
Ru1 0.250 0.750 0.500
S1 0.250 0.250 0.622
```

---

# 3
Below is crystalline CeThPb at its relaxed geometry, with properties calculated at the PBE level.

Fermi-level density of states   2.100 states/eV/atom
Crystal system   hexagonal
Formation enthalpy at 0 K   0.0200 eV per atom
Relative energy among the computed polymorphs   0.290 eV per atom

Structure (CIF):
```
data_CeThPb
_symmetry_space_group_name_H-M 'P -6 m 2'
_symmetry_Int_Tables_number 187
_symmetry_space_group_name_Hall 'P -6 2'
_cell_length_a 5.4419
_cell_length_b 5.4419
_cell_length_c 3.3496
_cell_angle_alpha 90.00
_cell_angle_beta 90.00
_cell_angle_gamma 120.00
loop_
_atom_site_label
_atom_site_fract_x
_atom_site_fract_y
_atom_site_fract_z
Ce1 0.0000 0.0000 0.0000
Th1 0.6667 0.3333 0.0000
Pb1 0.3333 0.6667 0.5000
```

---

# 4
Below is crystalline BaSrP4 at its relaxed geometry, with properties calculated at the PBE level.

Fermi-level density of states   0.665 states/eV/atom
Crystal system   cubic
Formation enthalpy at 0 K   -0.2861 eV per atom

Structure (CIF):
```
data_BaSrP4
_symmetry_space_group_name_H-M 'F -4 3 m'
_symmetry_Int_Tables_number 216
_symmetry_space_group_name_Hall 'F -4 2 3'
_cell_length_a 8.091
_cell_length_b 8.091
_cell_length_c 8.091
_cell_angle_alpha 90.00
_cell_angle_beta 90.00
_cell_angle_gamma 90.00
loop_
_atom_site_label
_atom_site_fract_x
_atom_site_fract_y
_atom_site_fract_z
Ba1 0.000 0.000 0.000
Sr1 0.250 0.250 0.250
+++
The page goes on:
The researchers say it’s one of the largest henges ever discovered in the region. They weren’t able to excavate the entire henge—but with the help of aerial photography and satellite imagery, they estimated its age and size, according to McClatchy’s Irene Wright.
“A monument of this scale suggests that Crowland was an important ceremonial center and focal point in the late prehistoric period,” lead author Duncan Wright, an archaeologist at Newcastle University, tells Newsweek’s Aristos Georgiou. “In prehistoric times, the henge would have formed a large circular enclosed space, with a huge bank and ditch running around the outside. It may have had one or more burial mounds built inside it during the Bronze Age.”

After a long period of abandonment, the henge’s interior was reoccupied during Guthlac’s lifetime (around the seventh century). The recent excavations revealed numerous artifacts—including pottery, two bone combs and fragments of glass from a drinking vessel—dating to this period. The henge’s remains would have been visible at that time, and the researchers think the site’s long history could have appealed to figures like Guthlac, though they caution that no existing evidence shows a direct connection.
“Although the Anglo-Saxon objects we found cannot be linked with Guthlac with any certainty, the use of the site around this time and later in the medieval period adds weight to the idea that Crowland was a sacred space at different times over millennia,” says Wright in the university’s statement.
In the 12th century, the abbots of Crowland constructed a hall and chapel complex at the site, which were also uncovered during the recent digs. According to the researchers, this chapel may have been dedicated to St. Pega, Guthlac’s sister, who was also a venerated hermit.
“We know that many prehistoric monuments were reused by the Anglo-Saxons, but to find a henge—especially one that was previously unknown—occupied in this way is really quite rare,” Wright adds.